Simple Spreadsheet
DOS productivity program.

We had to make a final end-of-year project for our Introduction to Programming class at school. The requirements were pretty vague and described a CRUD application in which data had to be stored, retrieved and manipulated. It usually led to students making simple library/videostore applications, but was there anything more interesting that could be pulled off?
I’ve always loved terminal applications with GUI elements and even today I still use those sort of applications on my more underpowered systems, be it vim for code-editing, cmus to play songs or mpsyt to search youtube. There’s something in them that makes me immediately nostalgic, not sure exactly why. Plus they spare resources.
We had a month to deliver our project and had to use Turbo Pascal 7, which was the teaching tool of choice for that class. Before deciding what to make I’ve read through the documentation (which was pretty nicely integrated in the IDE) to see what could or couldn’t be pulled off. I figured that making one of those terminal GUI applications was perfectly within reach and decided to give it a go. In the worst case scenario if something didn’t go as planned I could always hack together a simpler application in a couple of days.
Having stumbled upon Jack Crenshaw’s Let’s Build a Compiler series somehow back then, and being a bit in awe with his KISS approach to compiler creation - with easy to understand Pascal snippets spread throughout his lessons to boot - I was also looking at some project where I could apply his techniques.
These records of crystals were left in the entry by mistake:
1.
Material: YMn2S4
Method: DFT, GGA-PBE
State: optimized geometry

Calculated values
- Energy relative to the lowest polymorph listed for this composition: 0.015 eV per atom
- Space-group type: C2/m, No. 12
- Uncorrected energy: -97.10 eV for the cell shown

abc: 7.4482 7.4482 7.2756
angles: 61.01 61.01 62.53
Sites, in units of the cell vectors:
S (0.3008, 0.7171, 0.7465)
Y (0.0000, 0.5000, 0.0000)
Mn (0.5000, 0.5000, 0.5000)
S (0.6992, 0.2829, 0.2535)
S (0.2829, 0.6992, 0.2535)
S (0.2395, 0.2395, 0.2695)
S (0.2618, 0.2618, 0.7268)
Mn (0.5000, 0.0000, 0.5000)
S (0.7171, 0.3008, 0.7465)
Mn (0.5000, 0.5000, 0.0000)
S (0.7605, 0.7605, 0.7305)
Mn (0.0000, 0.5000, 0.5000)
Y (0.5000, 0.0000, 0.0000)
S (0.7382, 0.7382, 0.2732)



2.
Material: Na3CaAlP2SO12
Method: DFT, GGA-PBE
State: optimized geometry

Calculated values
- Uncorrected energy: -774.52 eV for the cell shown

abc: 9.1805 9.0608 22.1140
angles: 92.21 90.00 120.44
Sites, in units of the cell vectors:
Na (0.3634, 0.3575, 0.2484)
O (0.4889, 0.8667, 0.3654)
Al (0.0350, 0.0199, 0.1488)
S (0.6868, 0.0415, 0.0799)
Na (0.6431, 0.6373, 0.7448)
Na (0.6609, 0.9706, 0.5782)
O (0.8556, 0.4821, 0.4220)
O (0.9609, 0.8220, 0.0910)
Na (0.9941, 0.3575, 0.7484)
O (0.9937, 0.1971, 0.9093)
Na (0.3337, 0.6509, 0.6663)
O (0.0104, 0.8111, 0.4126)
Na (0.0300, 0.6908, 0.5817)
O (0.6770, 0.1444, 0.7459)
O (0.1856, 0.0282, 0.5853)
O (0.2942, 0.4886, 0.7576)
O (0.1890, 0.1487, 0.0887)
O (0.8611, 0.8220, 0.5910)
O (0.5476, 0.6792, 0.9761)
O (0.1073, 0.4728, 0.8589)
P (0.2907, 0.9888, 0.2518)
O (0.9598, 0.1487, 0.5887)
O (0.7900, 0.9623, 0.6948)
O (0.7999, 0.0121, 0.4110)
O (0.4674, 0.1444, 0.2459)
O (0.7920, 0.7840, 0.3009)
O (0.7111, 0.5334, 0.5321)
P (0.6886, 0.6405, 0.5863)
O (0.4587, 0.1173, 0.6343)
P (0.6240, 0.6555, 0.9185)
O (0.0321, 0.8061, 0.6922)
P (0.9574, 0.3222, 0.5852)
Al (0.7016, 0.3533, 0.4822)
O (0.6988, 0.1394, 0.0256)
P (0.6982, 0.9888, 0.7518)
O (0.9920, 0.7840, 0.8009)
O (0.8007, 0.8111, 0.9126)
O (0.1723, 0.9623, 0.1948)
O (0.8390, 0.2957, 0.5282)
O (0.3312, 0.8846, 0.9783)
O (0.2142, 0.0126, 0.3095)
Na (0.9942, 0.6373, 0.2448)
O (0.1234, 0.6290, 0.3615)
Ca (0.0062, 0.9948, 0.8512)
P (0.3553, 0.9738, 0.9196)
O (0.1332, 0.6787, 0.0777)
O (0.7740, 0.8061, 0.1922)
O (0.8867, 0.5512, 0.1450)
O (0.6604, 0.5304, 0.2427)
S (0.0202, 0.7082, 0.7465)
Al (0.6516, 0.3533, 0.9822)
O (0.2033, 0.1971, 0.4093)
S (0.6880, 0.7082, 0.2465)
P (0.6185, 0.9738, 0.4196)
O (0.1317, 0.6792, 0.4761)
O (0.4407, 0.1394, 0.5256)
O (0.3271, 0.8637, 0.5760)
P (0.0315, 0.6555, 0.4185)
Al (0.3183, 0.6866, 0.3155)
O (0.5367, 0.8637, 0.0760)
Na (0.3097, 0.9706, 0.0782)
P (0.9518, 0.6405, 0.0863)
Na (0.0004, 0.9842, 0.9996)
O (0.5455, 0.6787, 0.5777)
O (0.8700, 0.5304, 0.7427)
O (0.6646, 0.5512, 0.6450)
O (0.1556, 0.2000, 0.6987)
O (0.3778, 0.8667, 0.8654)
O (0.8809, 0.3459, 0.6428)
O (0.3253, 0.4507, 0.4676)
Na (0.6671, 0.3176, 0.3330)
O (0.1253, 0.4507, 0.9676)
O (0.0444, 0.2000, 0.1987)
O (0.5223, 0.8154, 0.7554)
I ended up deciding to make a tiny Visicalc / Lotus 1-2-3 clone: It would allow me to explore an ncurses-like interface, make a small expression evaluator and if time allowed even explore the graphical mode routines to draw some charts.
Visicalc was an extremely popular spreadsheet software with the first version being released in 1979 for the Apple II. It was reportedly quite a systems seller at the time, with people and companies buying the hardware just to use it. About 1 million copies ended up being sold throughout the product’s history.

Sales of Visicalc quickly diminished with the release of the Lotus 1-2-3 for the IBM PC in 1983, though. It mimicked Visicalc’s functionality, but it was faster due to the x86 assembly language code and had fewer bugs. It also allowed the creation of charts if the user had a graphics card.

Developing SS ended up being super fun and I explored both the pascal language and the APIs as much as I could. I separated the code into several reusable modules and even added parallel-port printer support. The low memory limitations were a challenge at the time though - I ended up having to limit the number of cells and refactoring the expression evaluator to solve expressions iteratively since my initial recursive approach kept hitting stack overflows.
There’s a case to be made to still keep using pascal and TP as learning tools for students. As outdated as it was even back then, the streamlined IDE, simplicity and readibility of the language and the integrated help system filled with clear explanations and examples for its API made programming quite fun and accessible.
Anders Hejlsberg, the original creator of Turbo Pascal, went on to join Microsoft where he leads the teams designing c# and typescript.